Sunday, September 27, 2009
Kiwi Thoughts
All good things come to an end
Saturday, September 26, 2009
One, Two, Three, BUNGEE!

## Data records from another source follow
'''
[1]
DFT (PBE) results for a relaxed AgSnOs2Pt crystal.

a = 4.904 Å, b = 4.903 Å, c = 4.904 Å
α = 90.00°, β = 90.00°, γ = 90.00°
Sites, in units of the cell vectors:
Ag: 0.500 0.500 0.500
Sn: 0.000 0.000 0.000
Os: 0.000 0.000 0.500
Os: 0.500 0.000 0.000
Pt: 0.000 0.500 0.000

energy of formation from the pure elements = 2.118 eV/atom
space group = P4/mmm, No. 123

[2]
DFT (PBE) results for a relaxed Pr5Y3Tl2 crystal.

a = 6.661 Å, b = 10.760 Å, c = 10.760 Å
α = 91.61°, β = 71.97°, γ = 71.97°
Sites, in units of the cell vectors:
Y: 0.389 0.332 0.889
Tl: 0.878 0.264 0.981
Tl: 0.378 0.981 0.264
Pr: 0.000 0.750 0.750
Y: 0.750 0.000 0.000
Pr: 0.880 0.456 0.784
Pr: 0.750 0.500 0.500
Pr: 0.620 0.216 0.544
Y: 0.250 0.000 0.000
Pr: 0.250 0.500 0.500
Y: 0.111 0.111 0.668
Tl: 0.122 0.736 0.019
Y: 0.889 0.889 0.332
Tl: 0.622 0.019 0.736
Pr: 0.380 0.784 0.456
Y: 0.611 0.668 0.111
Pr: 0.500 0.750 0.750
Pr: 0.500 0.250 0.250
Pr: 0.000 0.250 0.250
Pr: 0.120 0.544 0.216

energy of formation from the pure elements = 0.132 eV/atom
space group = Ibam, No. 72

[3]
DFT (PBE) results for a relaxed ZnPAu2 crystal.

a = 6.199 Å, b = 6.199 Å, c = 3.798 Å
α = 72.60°, β = 72.60°, γ = 32.29°
Sites, in units of the cell vectors:
Au: 0.279 0.279 0.719
P: 0.494 0.494 0.509
Au: 0.014 0.014 0.989
Zn: 0.713 0.713 0.282

E above lowest polymorph = 0.030 eV per atom
energy of formation from the pure elements = 0.102 eV/atom
space group = Cm, No. 8

> Which of these has the lowest energy of formation from the pure elements?

ZnPAu2


(P)
## AlPBr2 (GGA-PBE)

Data for an optimized crystal structure of AlPBr2.

a = 4.1340 Å, b = 4.8640 Å, c = 4.8607 Å
α = 84.40°, β = 90.00°, γ = 90.00°
Closest atoms and distances in Å follow each position.
Element x y z (fractional)
P  0.5000  0.2500  0.2500  4 Br 2.75
Al  0.5000  0.7500  0.7500  4 Br 2.74
Br  0.0000  0.9993  0.9993  2 Al 2.74, 2 P 2.75
Br  0.0000  0.5007  0.5007  2 Al 2.74, 2 P 2.75

---

(Q)
## AlPBr2 (GGA-PBE)

Data for an optimized crystal structure of AlPBr2.

a = 5.1009 Å, b = 5.0133 Å, c = 5.1003 Å
α = 65.85°, β = 78.71°, γ = 114.15°
Closest atoms and distances in Å follow each position.
Element x y z (fractional)
P  0.0000  0.5000  0.5000  4 Br 2.75
Al  0.5000  0.5000  0.0000  4 Br 2.75
Br  0.0000  0.0000  0.0000  2 P 2.75, 2 Al 2.75
Br  0.5000  0.0000  0.5000  2 Al 2.75, 2 P 2.75

---

(R)
## AlPBr2 (GGA-PBE)

Data for an optimized crystal structure of AlPBr2.

a = 7.0020 Å, b = 7.0020 Å, c = 7.0020 Å
α = 147.63°, β = 147.63°, γ = 46.44°
Closest atoms and distances in Å follow each position.
Element x y z (fractional)
P  0.5000  0.5000  0.0000  4 Br 2.76
Al  0.7500  0.2500  0.5000  4 Br 2.76
Br  0.0000  0.0000  0.0000  4 P 2.76
Br  0.2500  0.7500  0.5000  4 Al 2.76

---

Computed relative energies in units of eV/atom: (P) 0.013; (Q) 0.000; (R) 0.121

---

(P)
## AlPBr2 (GGA-PBE)

Data for an optimized crystal structure of AlPBr2.

a = 3.2616 Å, b = 3.2616 Å, c = 9.1930 Å
α = 90.00°, β = 90.00°, γ = 90.00°
'''
Sunday, September 20, 2009
Where are we?! Alaska!?
Wednesday, September 16, 2009
A Finnish Invasion
Monday, September 14, 2009
Follow Symbol!
Lauren and I got up early on Monday, made scrambled eggs and drove to the city centre to do a tour of New Zealand's Cadbury chocolate factory! This $17 tour brings you into the heart of the factory's operations, giving you a bit of history of the company, the process of making chocolate and the specifics of come of Cadbury's products. So after donning our hairnets and receiving a "trick-or-treat" bag, Lauren and I followed our tour guide throughout the factory. At times, he would ask bits of random trivia, either from earlier in the tour or life in general, with the reward of more chocolate. By the end of the tour, Lauren and I had bags bursting with Dairy Milk, Dream, Pinky, Whip, Curly Wurly and Perky Nana. However, we were not nearly as lucky as the children on our tour. Even though their tour cost a mere $8, they were rewarded with full size bars of Flake and Whip as well as plenty of other confectionaries. Lauren did manage to trade for a bag of candy covered dark chocolate, but this five year old from California did not give it up easily. Lauren and I perused the gift shop for a bit after the tour; I was looking for a HUGE Cadbury egg to send to Heather, but no such luck, as they don't sell till Easter.
Lauren and I then headed back to the hostel to pick up Maggie and head over to the botanical gardens. There, we pretended we were children again, feeding the ducks with free food available from the visitor's centre. This is also where we met Abi. Abi is a girl from Chicago with a stereotypical American attitude. She recognised our accents and wanted to know all about our trip that we had planned. After we discussed our plans with her, she criticised them and gave us a completely different route. Her attitude explained to me why so many foreigners dislike Americans. Needless to say, every time we did something amazing on our planned route, we all commented on how much we hated Abi. Also in the gardens was a pretty awesome aviary housing mostly Australian and New Zealand birds, but also some more exotic species. There was one cockatoo who made the most god awful noise before it began talking, saying “Hello!” (in the voice of Mrs. Doubtfire) and “Want a cup of tea?” (in the voice of an Orc). After a little bit of sightseeing in central Dunedin, we made ourselves some dinner before heading out to Speights Brewery.
For another $17, the three of us took a pretty awesome tour through one of the historic breweries of New Zealand and home to one of my favourite beers here. Like the Cadbury tour, we heard history about the brewery itself and about the process of making beer. Finally, we headed downstairs to the Speights Tasting Room, where we were able to sample six of their brews. After we all toasted each other to a glass of Speights Gold Medal Ale, our guide released the taps to us and for the next 45 minutes, we were able to sample as much as we liked. Speights Summit, a lager made from all natural ingredients, soon became my favourite. The girls and I met some pretty awesome guys from Britain at the tasting and surprisingly met them later at a pub we stumbled across that was playing the Yankees – Red Sox Game! It was a good night all around, definitely encouraging me to return to Dunedin in the future.
The next morning, we headed south, choosing to take the Southern Scenic Route rather than the main highway. However, a wrong turn took us out to the Otago Peninsula. This was a wrong turn that none of minded, and allowed us to get some pretty sweet pictures of Dunedin and the bay before actually heading south, being reminded by New Zealand road signs to “follow symbol.” After reaching Balclutha, we got a map of the route, and began planning our stops. First on the list: Nugget Point.
If you ask me, Nugget Point is one of the most beautiful places I’ve ever been. It’s a chain of large rocks that sticks out into the ocean. But words cannot describe the beauty. It was just so serene and wonderful to sit and bask in the splendour of Aotearoa. We enjoyed some peanut butter and jam before following symbol once more.
Our next stop was a glorious beach on Surat Bay, which I will remember forever. The sand was rippled by the waves that had run over it during high tide hours ago. The sun was shining and the water was a beautiful blue-green. I could not have asked for more, except maybe a nice tall glass of lemonade. This beach also enabled me to see one of New Zealand’s endemic species, the New Zealand sea lion. Gabe, we named him. He was doing what most sea lions do best: sleeping. At this point in the day, we just wanted the daylight to never end.
Our next stop was the Purakaunui Falls. These falls are about a ten minute walk from the road. Unbeknownst to us, as we were walking towards them, we were actually looking at them. You can see by the photos that the view is only appropriate from the front. From above, these falls are not very remarkable, but from straight on? Wow.
Following these falls, we headed towards Niagara Falls. That’s right, New Zealand’s own version. On the map we were using, these falls were simply described as such: J. This turned out to be a bit of a joke. Apparently the man who lives on this land visited the real Niagara Falls and thought the mini waterfall on his property looked something like them. I still don’t know if this is true, since the stream was swollen when we arrived and the “waterfall” was mostly submerged.
With the light growing dim, we decided to find accommodation. This is similar to trying to find somewhere to stay in the mountains of Montana. In short, our options were limited, and the fact that it was winter meant that the roads and “towns” were ghosts of their summer selves. Luckily, we found Dolphin Lodge and inside discovered we had really lost civilization. Their water supply came from rainwater, there was no internet or phone, and heating came from coal. The ocean views made up for it, especially since it cost only$23.
In the AM, we continued following symbol. We stopped first at Curio Bay, where there is a petrified forest. Here, we began to notice the roaring wind that would haunt us later that day. From the petrified forest, we drove to Slope Point. This is the southernmost point on the South Island and probably the closest to Antarctica I’ll ever be. From the road, it’s about a ten minute walk across some guy’s sheep field to the cliff. However, with the wind probably gusting at about fifty miles an hour at that point, we were struggling to walk straight. By the time we reached the cliff, I honestly think that if we had jumped in the air, the wind would have blown us into the water.I had removed my glasses for the walk, but Lauren’s were almost blown into the water by these howling winds. Maggie was luckily able to save them, minus a scratch. We all posed (painfully) for a picture with the signpost and then fought the wind back to our car.
About a five minute drive from there, we saw a sign for coffee. Windblown, we all were in the mood for some hot chocolate (or, as I apparently say it, hawt chawclate). We discovered that the store was closed for the season, but the owner, a Welsh woman, was more than willing to make us hot chocolate in the lounge of her hostel. Definitely one of the most interesting places that I’ve purchased hot chocolate, and definitely what we all needed at that time.
From there, we drove straight through to Invercargill. Anytime we told any kiwi that we were going here, they immediately asked why. Invercargill is apparently somewhat of a joke to anyone who doesn’t live there. A former port town on the south coast, it has since become less important to New Zealand’s economy than it once was. And without a university or anything to lift it up, it has fallen upon hard times. However, it is not nearly as bad as anyone said it would be. But then again, we were only there for about an hour. Our next stop was Bluff, which is a 20 minute drive south of Invercargill and the starting point of Highway 1, which runs all the way up to Picton, crosses to Wellington and then travels all the way up to Northland. They had a pretty epic signpost here, which pointed out how far away major cities in New Zealand, Australia and the world. From here, I was 15,000 kilometres away from home. (If you click on the picture, it will show a larger version).
## These crystal structures were left in the entry by mistake
/*
[1]
! RbHfBeAu (PBE, optimized geometry); values from VASP
&SYSTEM
  ibrav = 0, nat = 4, ntyp = 4
/
ATOMIC_SPECIES
Hf 178.49 Hf.upf
Rb 85.47 Rb.upf
Au 196.97 Au.upf
Be 9.01 Be.upf
CELL_PARAMETERS angstrom
0.000 3.569 3.569
3.569 0.000 3.569
3.569 3.569 0.000
ATOMIC_POSITIONS crystal
Hf 0.000 0.000 0.000
Rb 0.500 0.500 0.500
Au 0.750 0.750 0.750
Be 0.250 0.250 0.250
! * SG: F-43m, No. 216
! * uncorrected energy: -3.62 eV per atom

[2]
! RbHfBeAu (PBE, optimized geometry); values from VASP
&SYSTEM
  ibrav = 0, nat = 4, ntyp = 4
/
ATOMIC_SPECIES
Be 9.01 Be.upf
Hf 178.49 Hf.upf
Rb 85.47 Rb.upf
Au 196.97 Au.upf
CELL_PARAMETERS angstrom
0.000 3.448 3.448
3.448 0.000 3.448
3.448 3.448 0.000
ATOMIC_POSITIONS crystal
Be 0.000 0.000 0.000
Hf 0.250 0.250 0.250
Rb 0.500 0.500 0.500
Au 0.750 0.750 0.750
! * SG: F-43m, No. 216
! * uncorrected energy: -3.43 eV per atom

[3]
! BeHg2Au (PBE, optimized geometry); values from VASP
&SYSTEM
  ibrav = 0, nat = 4, ntyp = 3
/
ATOMIC_SPECIES
Hg 200.59 Hg.upf
Be 9.01 Be.upf
Au 196.97 Au.upf
CELL_PARAMETERS angstrom
-0.225 -4.680 -0.553
-3.941 -2.324 1.149
-2.720 -1.848 -3.383
ATOMIC_POSITIONS crystal
Hg 0.750 0.750 0.750
Hg 0.000 0.000 0.000
Be 0.500 0.500 0.500
Au 0.250 0.250 0.250
! * SG: F-43m, No. 216
! * uncorrected energy: -1.47 eV per atom

[4]
! Be2HgAu (PBE, optimized geometry); values from VASP
&SYSTEM
  ibrav = 0, nat = 4, ntyp = 3
/
ATOMIC_SPECIES
Be 9.01 Be.upf
Au 196.97 Au.upf
Hg 200.59 Hg.upf
CELL_PARAMETERS angstrom
0.000 3.116 3.116
3.116 0.000 3.116
3.116 3.116 0.000
ATOMIC_POSITIONS crystal
Be 0.250 0.250 0.250
Be 0.000 0.000 0.000
Au 0.750 0.750 0.750
Hg 0.500 0.500 0.500
! * SG: F-43m, No. 216
! * uncorrected energy: -2.28 eV per atom

[5]
! Be3HgAu4 (PBE, optimized geometry); values from VASP
&SYSTEM
  ibrav = 0, nat = 8, ntyp = 3
/
ATOMIC_SPECIES
Au 196.97 Au.upf
Hg 200.59 Hg.upf
Be 9.01 Be.upf
CELL_PARAMETERS angstrom
6.629 -0.360 -0.215
2.106 -2.619 5.729
-4.611 -2.085 -4.302
ATOMIC_POSITIONS crystal
Au 0.150 0.150 0.604
Au 0.850 0.453 0.000
Au 0.547 0.547 0.396
Au 0.453 0.850 0.000
Hg 0.000 0.000 0.000
Be 0.250 0.750 0.500
Be 0.750 0.250 0.500
Be 0.500 0.500 0.000
! * SG: I-42m, No. 121
! * uncorrected energy: -2.77 eV per atom

[6]
! LaBeHgAu (PBE, optimized geometry); values from VASP
&SYSTEM
  ibrav = 0, nat = 4, ntyp = 4
/
ATOMIC_SPECIES
Au 196.97 Au.upf
La 138.91 La.upf
Be 9.01 Be.upf
Hg 200.59 Hg.upf
CELL_PARAMETERS angstrom
-4.631 -0.977 -1.486
-3.693 3.088 1.198
-2.125 2.801 -3.499
ATOMIC_POSITIONS crystal
Au 0.750 0.750 0.750
La 0.500 0.500 0.500
Be 0.250 0.250 0.250
Hg 0.000 0.000 0.000
! * SG: F-43m, No. 216
! * uncorrected energy: -3.22 eV per atom

~~~~~

1.
Below is a geometry-optimized K2ScTa structure, with properties calculated at the PBE level.

DFT formation energy: 1.61 eV/atom
space group: P4/mmm (123)
DOS(E_F): 4.92 states/eV/f.u.
crystal system: tetragonal

a = 6.8114 Å, b = 6.8114 Å, c = 2.9085 Å
α = 90.00°, β = 90.00°, γ = 90.00°
*/
We had an incredible lunch at the Drunken Sailor Cafe, where I sampled some of Bluff’s famous oysters alongside a piece of fish with a side of chunks. “Chunks” are basically roughly chopped potatoes that are then deep fried. They’re actually really good, just with an unappetizing name. After this delicious lunch that was complimented by full length windows of a gorgeous view, we headed north towards Te Anau, still following symbol and making brief stops at Monkey Island and an overlook that combined the coastal scenery with the most southern of the Southern Alps. Finally, we reached Te Anau, gateway to Fjordland National Park. We found a hostel and booked our beds (our first time having to share a room). After some dinner and great conversation with some Brits and a boy from Christchurch, we headed off to bed.
I’m now realising how long our trip actually was. I’ll try to get some pictures up here in the next couple days, as well as continue to update you on my trip down south.
Kia Ora America,